[Given]
-- begin --
[1]
174
Properties=species:S:1:pos:R:3 method="wB97M-V/def2-TZVPD" s2=3.754 spin_multiplicity=4 lumo_ev="0.57 / 0.57" homo_lumo_gap_ev="7.14 / 9.83"
V -1.576 3.290 0.665
C -0.194 1.449 -0.536
O -1.273 1.152 0.464
O 0.039 2.719 -0.416
C 1.123 0.642 -0.076
F 1.643 1.017 1.143
F 0.830 -0.706 -0.015
F 2.154 0.790 -0.892
C -2.282 0.150 0.160
C -3.059 -0.194 1.388
H -3.859 -0.792 1.034
H -2.556 -0.693 2.206
H -3.468 0.700 1.829
H -1.790 -0.733 -0.211
H -2.947 0.484 -0.621
H -0.488 1.100 -1.551
C -4.105 3.132 0.214
O -3.051 3.414 -0.795
O -3.542 3.272 1.366
C -5.228 4.200 -0.032
F -6.110 3.876 -0.988
F -5.892 4.418 1.175
F -4.674 5.402 -0.368
C -2.975 2.724 -2.090
C -3.807 3.224 -3.241
H -3.669 2.613 -4.129
H -4.880 3.192 -3.010
H -3.638 4.264 -3.485
H -3.325 1.692 -1.878
H -1.919 2.758 -2.432
H -4.498 2.108 -0.075
C 1.355 0.538 -4.035
C 1.599 2.047 -3.915
C 0.265 2.674 -4.421
O -0.648 1.711 -3.944
C -0.172 0.446 -4.245
H 1.588 0.027 -3.132
H 1.848 0.023 -4.854
H 2.504 2.291 -4.471
H 1.642 2.240 -2.848
H 0.166 2.785 -5.554
H 0.038 3.630 -3.974
H -0.526 0.208 -5.295
H -0.753 -0.258 -3.670
C -6.980 -4.521 -2.100
C -6.520 -4.495 -0.667
C -4.969 -4.263 -0.912
O -4.651 -4.480 -2.274
C -5.810 -4.988 -2.936
H -7.154 -3.408 -2.214
H -7.954 -4.959 -2.214
H -6.718 -5.441 -0.128
H -6.852 -3.758 0.084
H -4.464 -4.871 -0.190
H -4.729 -3.198 -0.673
H -5.850 -6.112 -2.973
H -5.705 -4.603 -3.919
C 6.100 -1.087 -2.777
C 6.768 -1.951 -1.704
C 5.716 -2.148 -0.560
O 4.592 -1.309 -0.936
C 5.017 -0.369 -1.872
H 5.721 -1.707 -3.604
H 6.814 -0.346 -3.179
H 7.608 -1.337 -1.283
H 7.131 -2.887 -2.201
H 6.170 -1.771 0.329
H 5.411 -3.194 -0.477
H 5.611 0.404 -1.436
H 4.131 0.029 -2.400
C -3.874 -0.676 -3.922
C -3.198 -1.717 -3.025
C -2.680 -2.618 -4.205
O -3.742 -2.616 -5.167
C -4.529 -1.463 -5.017
H -3.169 0.021 -4.291
H -4.675 -0.076 -3.393
H -3.918 -2.264 -2.457
H -2.424 -1.181 -2.436
H -2.425 -3.657 -3.961
H -1.863 -2.130 -4.670
H -5.518 -1.813 -4.663
H -4.715 -0.875 -5.966
C 4.825 1.955 2.049
C 5.939 1.062 1.470
C 6.739 0.795 2.731
O 6.600 1.844 3.657
C 5.267 2.265 3.511
H 3.939 1.242 2.104
H 4.577 2.753 1.419
H 6.470 1.583 0.672
H 5.507 0.095 1.098
H 7.835 0.701 2.544
H 6.380 -0.169 3.094
H 5.247 3.302 3.842
H 4.570 1.718 4.156
C 2.926 -2.901 2.368
C 3.259 -4.113 3.144
C 4.234 -3.679 4.311
O 4.761 -2.481 3.869
C 3.765 -1.842 3.077
H 1.796 -2.742 2.336
H 3.262 -3.031 1.318
H 3.699 -4.930 2.579
H 2.333 -4.477 3.648
H 5.075 -4.335 4.495
H 3.651 -3.553 5.232
H 4.302 -1.144 2.367
H 3.135 -1.192 3.691
C 2.649 -4.027 -2.157
C 1.796 -5.164 -2.725
C 0.477 -4.434 -3.141
O 0.669 -3.039 -3.006
C 2.085 -2.764 -2.841
H 3.701 -4.146 -2.429
H 2.501 -3.934 -1.108
H 1.695 -6.026 -2.074
H 2.341 -5.536 -3.547
H -0.391 -4.775 -2.568
H 0.243 -4.671 -4.195
H 2.198 -1.918 -2.198
H 2.592 -2.563 -3.835
C -1.940 7.540 -0.008
C -1.322 6.897 -1.281
C -0.361 5.908 -0.701
O -0.918 5.465 0.495
C -1.428 6.658 1.123
H -3.013 7.630 -0.013
H -1.468 8.542 0.047
H -0.883 7.642 -1.922
H -2.061 6.418 -1.971
H 0.625 6.392 -0.459
H -0.234 5.005 -1.344
H -0.644 7.056 1.813
H -2.227 6.350 1.762
C -1.278 0.102 4.505
C -1.090 0.371 6.074
C 0.505 0.474 6.206
O 0.933 0.927 4.899
C 0.151 0.245 3.939
H -1.915 0.771 3.970
H -1.606 -0.935 4.389
H -1.646 -0.376 6.734
H -1.467 1.384 6.362
H 0.892 -0.560 6.411
H 0.924 1.118 6.984
H 0.554 -0.754 3.723
H 0.114 0.878 3.036
C -0.055 4.885 4.286
C 1.033 4.961 3.223
C 0.780 3.605 2.527
O -0.638 3.490 2.500
C -1.234 4.255 3.536
H -0.342 5.853 4.702
H 0.290 4.226 5.125
H 2.036 5.105 3.541
H 0.958 5.780 2.495
H 1.063 2.770 3.121
H 1.139 3.414 1.520
H -1.891 3.600 4.183
H -1.907 4.926 3.055
C -0.483 -3.892 0.380
C 0.340 -4.991 1.069
C -0.229 -5.008 2.476
O -0.411 -3.649 2.759
C -0.985 -3.012 1.573
H -1.254 -4.239 -0.265
H 0.210 -3.331 -0.227
H 1.435 -4.777 1.117
H 0.259 -6.006 0.528
H 0.436 -5.392 3.279
H -1.175 -5.702 2.530
H -0.750 -1.963 1.533
H -2.068 -2.976 1.643

[2]
70
-- stop --

[What to do]
Please quote everything above without altering anything.

[Worked solution]
[1]
174
Properties=species:S:1:pos:R:3 method="wB97M-V/def2-TZVPD" s2=3.754 spin_multiplicity=4 lumo_ev="0.57 / 0.57" homo_lumo_gap_ev="7.14 / 9.83"
V -1.576 3.290 0.665
C -0.194 1.449 -0.536
O -1.273 1.152 0.464
O 0.039 2.719 -0.416
C 1.123 0.642 -0.076
F 1.643 1.017 1.143
F 0.830 -0.706 -0.015
F 2.154 0.790 -0.892
C -2.282 0.150 0.160
C -3.059 -0.194 1.388
H -3.859 -0.792 1.034
H -2.556 -0.693 2.206
H -3.468 0.700 1.829
H -1.790 -0.733 -0.211
H -2.947 0.484 -0.621
H -0.488 1.100 -1.551
C -4.105 3.132 0.214
O -3.051 3.414 -0.795
O -3.542 3.272 1.366
C -5.228 4.200 -0.032
F -6.110 3.876 -0.988
F -5.892 4.418 1.175
F -4.674 5.402 -0.368
C -2.975 2.724 -2.090
C -3.807 3.224 -3.241
H -3.669 2.613 -4.129
H -4.880 3.192 -3.010
H -3.638 4.264 -3.485
H -3.325 1.692 -1.878
H -1.919 2.758 -2.432
H -4.498 2.108 -0.075
C 1.355 0.538 -4.035
C 1.599 2.047 -3.915
C 0.265 2.674 -4.421
O -0.648 1.711 -3.944
C -0.172 0.446 -4.245
H 1.588 0.027 -3.132
H 1.848 0.023 -4.854
H 2.504 2.291 -4.471
H 1.642 2.240 -2.848
H 0.166 2.785 -5.554
H 0.038 3.630 -3.974
H -0.526 0.208 -5.295
H -0.753 -0.258 -3.670
C -6.980 -4.521 -2.100
C -6.520 -4.495 -0.667
C -4.969 -4.263 -0.912
O -4.651 -4.480 -2.274
C -5.810 -4.988 -2.936
H -7.154 -3.408 -2.214
H -7.954 -4.959 -2.214
H -6.718 -5.441 -0.128
H -6.852 -3.758 0.084
H -4.464 -4.871 -0.190
H -4.729 -3.198 -0.673
H -5.850 -6.112 -2.973
H -5.705 -4.603 -3.919
C 6.100 -1.087 -2.777
C 6.768 -1.951 -1.704
C 5.716 -2.148 -0.560
O 4.592 -1.309 -0.936
C 5.017 -0.369 -1.872
H 5.721 -1.707 -3.604
H 6.814 -0.346 -3.179
H 7.608 -1.337 -1.283
H 7.131 -2.887 -2.201
H 6.170 -1.771 0.329
H 5.411 -3.194 -0.477
H 5.611 0.404 -1.436
H 4.131 0.029 -2.400
C -3.874 -0.676 -3.922
C -3.198 -1.717 -3.025
C -2.680 -2.618 -4.205
O -3.742 -2.616 -5.167
C -4.529 -1.463 -5.017
H -3.169 0.021 -4.291
H -4.675 -0.076 -3.393
H -3.918 -2.264 -2.457
H -2.424 -1.181 -2.436
H -2.425 -3.657 -3.961
H -1.863 -2.130 -4.670
H -5.518 -1.813 -4.663
H -4.715 -0.875 -5.966
C 4.825 1.955 2.049
C 5.939 1.062 1.470
C 6.739 0.795 2.731
O 6.600 1.844 3.657
C 5.267 2.265 3.511
H 3.939 1.242 2.104
H 4.577 2.753 1.419
H 6.470 1.583 0.672
H 5.507 0.095 1.098
H 7.835 0.701 2.544
H 6.380 -0.169 3.094
H 5.247 3.302 3.842
H 4.570 1.718 4.156
C 2.926 -2.901 2.368
C 3.259 -4.113 3.144
C 4.234 -3.679 4.311
O 4.761 -2.481 3.869
C 3.765 -1.842 3.077
H 1.796 -2.742 2.336
H 3.262 -3.031 1.318
H 3.699 -4.930 2.579
H 2.333 -4.477 3.648
H 5.075 -4.335 4.495
H 3.651 -3.553 5.232
H 4.302 -1.144 2.367
H 3.135 -1.192 3.691
C 2.649 -4.027 -2.157
C 1.796 -5.164 -2.725
C 0.477 -4.434 -3.141
O 0.669 -3.039 -3.006
C 2.085 -2.764 -2.841
H 3.701 -4.146 -2.429
H 2.501 -3.934 -1.108
H 1.695 -6.026 -2.074
H 2.341 -5.536 -3.547
H -0.391 -4.775 -2.568
H 0.243 -4.671 -4.195
H 2.198 -1.918 -2.198
H 2.592 -2.563 -3.835
C -1.940 7.540 -0.008
C -1.322 6.897 -1.281
C -0.361 5.908 -0.701
O -0.918 5.465 0.495
C -1.428 6.658 1.123
H -3.013 7.630 -0.013
H -1.468 8.542 0.047
H -0.883 7.642 -1.922
H -2.061 6.418 -1.971
H 0.625 6.392 -0.459
H -0.234 5.005 -1.344
H -0.644 7.056 1.813
H -2.227 6.350 1.762
C -1.278 0.102 4.505
C -1.090 0.371 6.074
C 0.505 0.474 6.206
O 0.933 0.927 4.899
C 0.151 0.245 3.939
H -1.915 0.771 3.970
H -1.606 -0.935 4.389
H -1.646 -0.376 6.734
H -1.467 1.384 6.362
H 0.892 -0.560 6.411
H 0.924 1.118 6.984
H 0.554 -0.754 3.723
H 0.114 0.878 3.036
C -0.055 4.885 4.286
C 1.033 4.961 3.223
C 0.780 3.605 2.527
O -0.638 3.490 2.500
C -1.234 4.255 3.536
H -0.342 5.853 4.702
H 0.290 4.226 5.125
H 2.036 5.105 3.541
H 0.958 5.780 2.495
H 1.063 2.770 3.121
H 1.139 3.414 1.520
H -1.891 3.600 4.183
H -1.907 4.926 3.055
C -0.483 -3.892 0.380
C 0.340 -4.991 1.069
C -0.229 -5.008 2.476
O -0.411 -3.649 2.759
C -0.985 -3.012 1.573
H -1.254 -4.239 -0.265
H 0.210 -3.331 -0.227
H 1.435 -4.777 1.117
H 0.259 -6.006 0.528
H 0.436 -5.392 3.279
H -1.175 -5.702 2.530
H -0.750 -1.963 1.533
H -2.068 -2.976 1.643

[2]
70